As I have written before, there is a clear, straightforward answer to this question
Wheaton College, the leading evangelical institution of higher learning in the United States, has been embroiled in a recent controversy over a hijab-wearing associate professor of political science. Dr. Larycia Hawkins, who also happens to be a fan of the whole Black Lives Matter movement, is wearing a hijab during the Christmas season in “solidarity” with her Muslim “brothers and sisters,” because Christians and Muslims “worship the same God.”
Wheaton has suspended Dr. Hawkins, certainly the minimum it could do, pending a further investigation. The College has issued a mushily-worded statement defending the school’s evangelical statement of faith, but avoiding dealing directly with the question at issue.
The school criticizes Dr. Hawkins for a lack of “theological clarity,” and refers vaguely to differences of opinion about “the nature of God” between Islam and Christianity, but does not answer the question Dr. Hawkins has raised: do Christians and Muslims worship the same God?
As I have written before, there is a clear, straightforward answer to this question:
Do Christians and Muslims worship the same God? The answer is an unequivocal and unambiguous “No.” Muslims themselves will confirm this to you if you know the questions to ask.
We can stipulate that “Allah” is the generic word for “God” in Arabic, just as “El” and “Elohim” are in Hebrew and “theos” is in Greek. Thus there are many Christians in the Arabic speaking world who refer to the God of the Bible as “Allah,” and who use it in phrases such as “Inshallah,” which means “God willing.”
(It’s worth noting in passing that the highest court in Malaysia recently ruled that Muslims and Muslims alone are permitted to use the word “Allah.”)
But generic words for God, because they are generic, can be used to refer to a multiplicity of gods. So the term must be narrowed down. If someone uses a generic word for “God,” the follow-up question must be asked, “Which ‘god’ are you referring to?”
In New Testament times, where Greek was the lingua franca of the civilized world, there was a virtually unlimited pantheon of both Greek and Roman “gods,” all of whom were identified using the generic term “theos.” (As you might guess, we get our word “theology” from this word.)
So when the apostles needed to make sure their readers knew which God they were talking about when they used the word “theos,” and that they were referring to none of the Roman and Greek gods, they added a clear qualifier. They referred to the true and living God as “the God and Father of our Lord Jesus Christ” ( Ephesians 1:3 ; 2 Corinthians 1:3 ; Colossians 1:3 ; 2 Peter 1:3 ).
It was their way of saying, “Look, the God I am referring to here is not Zeus, or Jupiter, or Hermes, or Mercury, or Neptune, or Diana or Aphrodite. The God I am talking about is the God who is the Father of our Lord Jesus Christ.”
Jesus, according to the New Testament, is the unique, one and only begotten Son of God. (We can become sons of God by adoption, but he is the Son of God by his very nature.)
Here is the point. The God of the Bible has a Son. The god of Islam does not.
In fact, Muslims in 2008 hung a large banner in front of the Basilica of the Annunciation in Nazareth stating flatly that Allah has no son, and quoting a passage from the Qur’an as proof: “ He begetteth not, nor is begotten , and there is none like unto him” (Surah 112:1-4).
Contrast this with this declaration from the gospel of John: “And the Word became flesh, and dwelt among us, and we saw His glory, glory as of the only begotten from the Father, full of grace and truth” ( John 1:14, NASB ).
And again we read in John 3:16 , "For God so loved the world that He gave His only begotten Son, that whoever believes in Him shall not perish, but have eternal life.”
The plain declaration of Christianity, then, is that Jesus is the eternally begotten Son of the true and living God. There never was a time, not even in eternity past, when he was not the Son of God.
But Islam, on the other hand, flatly denies that Allah has a son at all. “He begetteth not, nor is begotten.” In fact, believing that God has a begotten Son will get you stoned to death in many parts of the Muslim world.
On top of all this, and of particular offense to orthodox Muslims, is the fact that Christians worship Jesus himself as God as the second member of the Trinity. “In the beginning was the Word, and the Word was with God, and the Word was God” ( John 1:3 ). Muslims are horrified at the thought that Jesus could be worshipped as God and consider such a belief as blasphemy worthy of death.
- - -
1.
This record from Alexandria describes NaTaMoBr2 after structural relaxation. The functional is PBE.

a = 5.382 Å, b = 5.382 Å, c = 4.978 Å
α = 90.00°, β = 90.00°, γ = 90.00°
Fractional positions:
Na1 0.000 0.000 0.000
Ta1 0.500 0.500 0.500
Mo1 0.500 0.500 0.000
Br1 0.000 0.500 0.500
Br2 0.500 0.000 0.500

Computed properties:
relative energy among the computed polymorphs	0.000	eV per atom
DOS(E_F)	2.5	states/eV/cell
size of the total moment	0.43	μB/atom
formation energy from raw total energies	625	meV/atom
crystal system	tetragonal

2.
This record from Alexandria describes NaTaMoBr2 after structural relaxation. The functional is PBE.

a = 5.193 Å, b = 5.193 Å, c = 6.312 Å
α = 90.00°, β = 90.00°, γ = 90.00°
Fractional positions:
Na1 0.000 0.000 0.000
Ta1 0.500 0.500 0.000
Mo1 0.000 0.000 0.500
Br1 0.000 0.500 0.500
Br2 0.500 0.000 0.500

Computed properties:
relative energy among the computed polymorphs	0.922	eV per atom
DOS(E_F)	10.8	states/eV/cell
size of the total moment	1.43	μB/atom
formation energy from raw total energies	1547	meV/atom
crystal system	tetragonal

3.
This record from Alexandria describes NaTlMo2Br after structural relaxation. The functional is PBE.

a = 5.454 Å, b = 5.454 Å, c = 6.305 Å
α = 90.00°, β = 90.00°, γ = 90.00°
Fractional positions:
Na1 0.000 0.000 0.000
Tl1 0.500 0.500 0.500
Mo1 0.000 0.500 0.500
Mo2 0.500 0.000 0.500
Br1 0.500 0.500 0.000

Computed properties:
DOS(E_F)	3.4	states/eV/cell
size of the total moment	1.78	μB/atom
formation energy from raw total energies	1554	meV/atom
crystal system	tetragonal

4.
This record from Alexandria describes NaTl2MoBr6 after structural relaxation. The functional is PBE.

a = 7.663 Å, b = 7.663 Å, c = 7.663 Å
α = 61.22°, β = 61.22°, γ = 61.22°
Fractional positions:
Na1 0.000 0.000 0.000
Tl1 0.268 0.268 0.268
Tl2 0.773 0.773 0.773
Mo1 0.496 0.496 0.496
Br1 0.185 0.715 0.340
Br2 0.265 0.656 0.803
Br3 0.340 0.185 0.715
Br4 0.656 0.803 0.265
Br5 0.715 0.340 0.185
Br6 0.803 0.265 0.656

Computed properties:
size of the total moment	0.30	μB/atom
formation energy from raw total energies	-844	meV/atom
crystal system	trigonal

5.
This record from Alexandria describes Na2TlMoBr8 after structural relaxation. The functional is PBE.

a = 6.475 Å, b = 8.977 Å, c = 6.847 Å
α = 90.00°, β = 93.87°, γ = 90.00°
Fractional positions:
Na1 0.000 0.238 0.000
Na2 0.000 0.762 0.000
Tl1 0.500 0.500 0.500
Mo1 0.500 0.000 0.500
Br1 0.195 0.500 0.172
Br2 0.267 0.000 0.182
Br3 0.279 0.203 0.641
Br4 0.279 0.797 0.641
Br5 0.721 0.203 0.359
Br6 0.721 0.797 0.359
Br7 0.733 0.000 0.818
Br8 0.805 0.500 0.828

Computed properties:
DOS(E_F)	6.7	states/eV/cell
size of the total moment	0.15	μB/atom
formation energy from raw total energies	-837	meV/atom
crystal system	monoclinic

6.
This record from Alexandria describes Na2ZrMoBr after structural relaxation. The functional is PBE.

a = 5.560 Å, b = 5.560 Å, c = 4.658 Å
α = 90.00°, β = 90.00°, γ = 90.00°
Fractional positions:
Na1 0.000 0.500 0.000
- - -
**Here the entry continues**
So, do Christians and Muslims worship the same God? Absolutely and unequivocally not. If you doubt me, ask a Muslim.
If we define God as THE Supreme Being, there is only one God. Therefore anyone and everyone who claims to worship a monotheistic God is worshipping the same entity. Since both Christianity and Islam are monotheistic, they MUST worship the same God. No other explanation is possible.
You can drive a truck through the holes in that logic.
Not at all.
Logic is not your strong suit :
Dr. Larycia Hawkins ... is wearing a hijab during the Christmas season in “solidarity” with her Muslim “brothers and sisters
Wheaton has suspended Dr. Hawkins, certainly the minimum it could do, pending a further investigation.
In France , the western country with the highest %age muslims , they found it necessary to outlaw wearing hijabs in public schools . That's because wearing a hijab is not strictly an expression of faith . It is a political act . Islam has a LARGE component of politics in its "religion" .
In France , the western country with the highest %age muslims , they found it necessary to outlaw wearing hijabs in public schools .
Not quite right... and I have made the same mistake, lately. "Hijab" means just "covering", so a simple headscarf is a "hijab". The head-to-toe garment is the "niqab". That is what was banned in public in France. It was banned as a "public safety" measure, since it is impossible to identify the person.
The political debate went much further, with many evoking the political element, as you mention.
Personally, I see the niqab as both the means and the symbol of repression of women.
Thanks for the clarification Bob . I expect that even a hijab would make a great disguise to wear during a bank robbery ...
Petey, your comment has absolutely NOTHING to do with what I am discussing. Other people can answer for themselves.
Can't you read the words from the article ? If not I guess you are illiterate ...
BTW in order to discuss you need to be able to think with logic , even fuzzy logic . But you don't use either one of those .
" Islam has a LARGE component of politics in its "religion" ."
And Christianity doesn't?!
No, it doesn't. Islam is a firm of secular government. Jesus specifically indicated Christianity was not. Simple.
You're suggesting that being Christian is irrelevant in American politics? Wow.
I assume you are just pretending to be ignorant. Every belief or opinion informs politics. However, Christianity is not a firm of government today while sharia and the caliphate are. I suggest you do some research. It may enrich you.
What reality are you living in? There are states, municipalities, etc. in the U.S. that actually have laws on the books denying atheists the right to serve in public office. Atheists are the most hated demographic among Christians, and they sure aren't crazy about Muslims either.
There are states, municipalities, etc. in the U.S. that actually have laws on the books denying atheists the right to serve in public office.
But these geographies are in the minority . By contrast anywhere in the Arab middle east one MUST be muslim or expect to be persecuted . See the difference ? I didn't think you would . You would do well to join your muslim brethren while they are still in the minority . When they get to be the majority it will be too late to switch ...
You're saying that because fewer states, municipalities, etc. have laws against atheist serving in public office that those who don't, then it's clear that a Christian an an atheist have an equal shot in American politics? That's simply not reality, Petey. If an oplenly atheist candidate were to run for office, that would be the main focus of their Christian opponent in attack ads. You know this, and more than once here on NT you've implied with certainty that Americans don't trust atheists.
you've implied with certainty that Americans don't trust atheists.
We all have our cross to bear ...
Bad logic. Just because both are monotheistic does not mean they worship the same god. That should be obvious a priori.
It's not bad logic at all it's just beyond your meager understanding.
John does not know what a priori means . Don't use such BIG WORDS !
Ted, I am warning you in advance. Off topic comments will be removed. Anything about your toes, your mom, your pee pee, your weight, your diarrhea, your soiled underwear, ladyboys, eating boogers, Michelle Obama, you having the dribbles, your security guard job, etc are all off topic.
Many Biblical scholars say Muslims and Christians do worship the same god. In saying so the thought comes to mind what makes the difference. We know the New testament was morphed by a King not by only pure religious documentation.
It must be comforting to be privy to the ultimate truths and realities of the Universe.
"He who thinks he knows … doesn't know … he who thinks he doesn't know … knows." _ Joseph Campbell
1 Corinthians 8:2
Religionists ought to first learn what they believe in, that prior to telling other people what they should believe in.
Religionists ? Yeah they're all the same :
The Vatican has already stated that one of the priests made a Mistake about Mary Madeline. Mary came from a family with money and position. Not what the new testament portrays. By golly the new testament cannot be the word of God as God would make no mistakes. The Constitution and Bill of rights ensure religious rights not to Christians only but all religions. Terrorists like Trump and others who aren't even Christians a Christian would never sleep with Mein Kompf by their bedside. The religious terrorist in this country portray themselves as Christians but better depict Satonic members not Religious at all. Unless ya'll consider Satan a religious figure.
Where on the NT is Mary referred to otherwise?
Semantics. Is it the same God? The answer depends on how you define God.
It is the most absurd sort of nonsense to even ask such a question unless the definition of God is agreed.
IMNAAHO, a Christian believes that "God is Love". Does a Muslim agree?
I personally find the Trinity to be a useless distraction from Jesus's message. Along with the virgin birth, and any number of other trinkets. But I believe the one should love one's neighbor.
If a Muslim believes that one should love lone's neighbor...
If there is a God, there is only one God. There cannot be more than one "Supreme Being"
Who created God? He was created in mans imagination and he can imagine many different Gods.
It's all explained right here, Dean.
What is your definition of "god", John? Why must it be "a supreme being"? Why not "manifestation of non-physical phenomena"? Then a lake could have its god, the Sun... and so on.
Why? There can't be a supreme duopoly or triune god? Of course there can be. Ask the Catholics.
For all anyone knows, there is a god and it put us here for one purpose - to take care of its most valued and prized creation, the plant world. There is just as much evidence for this as there is for any other god scenario, or for a Flying Spaghetti Monster. In fact, this would explain why prayer doesn't work at all, and why humans endure so much suffering. Maybe that god couldn't care less whether a percentage of us live or die, as long as some are there to manage the world of plant growth.
Maybe that god couldn't care less whether a percentage of us live or die, as long as some are there to manage the world of plant growth.
Plants grow better when they gets lots of CO2 in the air . Apparently climatologists are ungodly or even anti-godly .
"Plants grow better when they gets lots of CO2 in the air"
And humans exhale CO2 - eureka! I was right! We were created to provide them with CO2!
Dinosaurs produce even more CO2 . Think about it ...
You have small g god and big g God. big g God is THE Supreme Being. What else is there to say ? THE Supreme Being means the one and only Supreme Being.
"God : the perfect and all-powerful spirit or being that is worshipped especially by Christians, Jews, and Muslims as the one who created and rules the universe"
God | Definition of God by Merriam-Webster
The Merriam Webster definition , by the way, affirms that Muslims and Christians worship the same God.
Merriam Webster is not the final authority on anything. Lol.
Religions that are monotheistic and believe there is only one God have to be worshiping the same God whether they realize it or not. Maybe that is a tough concept for some people to understand but it is true.
Continue with the next part of the definition, John:
a spirit or being that has great power, strength, knowledge, etc., and that can affect nature and the lives of people : one of various spirits or beings worshipped in some religions
Christianity and Islam are different. Their gods are different. Obviously. Saying otherwise is simply propaganda.
Christianity and Islam are different. Their gods are different. Obviously. Saying otherwise is simply propaganda.
As religions yes. In their belief in the same god no. When Abraham took his first son, that he had with the Ishmael and his mother Hagar out of his home, (Sarah, Abraham's wife was jealous for her son, Isaac), God promised Abraham, that Ishmael would also lead a people, which are arabs/Muslims.
Muslims, Christians, and Jews all believe in the same God. The Koran, verse 3:84 (and elsewhere), states " we believe in Allah (God) and what has been revealed to us, and what was revealed to Ibrahim (Abraham) and Ismail (Ishmael) and Ishaq (Isaac) and Yaquob (Jacob) and the tribes (of Israel), and what was given to Musa (Moses) and to Isa (Jesus) and to the prophets from their Lord, we do not make any distinctions between any of them, and to Him do we submit." The Koran makes clear that Muslims believe in the five Books of Moses (comprising the Old Testament) and the New Testament. To Muslims, these are the first two books of God and the Koran, as revealed to Mohammad, is the third. Anyone who accepts all three is, under Islam, a Muslim. Muslims expressly accept Jesus as a prophet but do not accept him as the literal son of God and certainly don't accept him as indistinguishable from God himself. But Jews also do not accept Jesus as the son of God nor is he even considered a prophet. Based on the reasoning of this article, Jews and Christians would not be worshiping the same God because, to Jews, equating Jesus to God would be just as blasphemous under Judaism as it is under Islam. The article unravels itself.
But John Russell used "logic" to "prove" his point . Didn't you read his feeble thought processes ?
But John Russell used "logic" to "prove" his point . Didn't you read his feeble thought processes ?
His philosophical answer is interesting but the Koran, itself, answers the factual question.